**Contents:**
Ac2MnBi2O2: calculated PXRD pattern (Cu Kα (λ = 1.5418 Å)), based on a cell relaxed with GGA+U.
Lines closer than 0.1° are merged.

The 10 most intense peaks (2θ = 10–90°), by intensity:
d (Å)  I_rel  h k l
3.235  100.0  1 1 1
2.651  60.3  3 1 -2
2.804  36.8  3 1 0
3.374  31.4  0 0 2
3.088  26.4  4 0 -1
2.166  25.5  0 2 0
2.518  24.4  2 0 -3
1.839  23.6  1 1 3
2.861  20.3  4 0 -2
2.759  18.9  4 0 0

Atomic structure:
```
data_Ac2MnBi2O2
_cell_length_a 12.368
_cell_length_b 4.333
_cell_length_c 7.563
_cell_angle_alpha 90.00
_cell_angle_beta 116.85
_cell_angle_gamma 90.00
_symmetry_space_group_name_H-M 'C 1 2/m 1'
_symmetry_Int_Tables_number 12
loop_
_symmetry_equiv_pos_as_xyz
'x,y,z'
'-x,-y,-z'
'-x,y,-z'
'x,-y,z'
'x+1/2,y+1/2,z'
'-x+1/2,-y+1/2,-z'
'-x+1/2,y+1/2,-z'
'x+1/2,-y+1/2,z'
loop_
_atom_site_label
_atom_site_fract_x
_atom_site_fract_y
_atom_site_fract_z
Ac1 0.215 0.000 0.270
Mn1 0.000 0.000 0.500
Bi1 0.037 0.500 0.828
O1 0.188 0.000 0.577
```

**Work order:**
The reader should transcribe the notes further above word for word.

**Solution:**
Ac2MnBi2O2: calculated PXRD pattern (Cu Kα (λ = 1.5418 Å)), based on a cell relaxed with GGA+U.
Lines closer than 0.1° are merged.

The 10 most intense peaks (2θ = 10–90°), by intensity:
d (Å)  I_rel  h k l
3.235  100.0  1 1 1
2.651  60.3  3 1 -2
2.804  36.8  3 1 0
3.374  31.4  0 0 2
3.088  26.4  4 0 -1
2.166  25.5  0 2 0
2.518  24.4  2 0 -3
1.839  23.6  1 1 3
2.861  20.3  4 0 -2
2.759  18.9  4 0 0

Atomic structure:
```
data_Ac2MnBi2O2
_cell_length_a 12.368
_cell_length_b 4.333
_cell_length_c 7.563
_cell_angle_alpha 90.00
_cell_angle_beta 116.85
_cell_angle_gamma 90.00
_symmetry_space_group_name_H-M 'C 1 2/m 1'
_symmetry_Int_Tables_number 12
loop_
_symmetry_equiv_pos_as_xyz
'x,y,z'
'-x,-y,-z'
'-x,y,-z'
'x,-y,z'
'x+1/2,y+1/2,z'
'-x+1/2,-y+1/2,-z'
'-x+1/2,y+1/2,-z'
'x+1/2,-y+1/2,z'
loop_
_atom_site_label
_atom_site_fract_x
_atom_site_fract_y
_atom_site_fract_z
Ac1 0.215 0.000 0.270
Mn1 0.000 0.000 0.500
Bi1 0.037 0.500 0.828
O1 0.188 0.000 0.577
```